Monday, May 9, 2011

Dance with the one who brung you

Open letter to the Leadership of the Republican Party in general and 
Speaker of the House John Boehner in particular.

I thought it would be a good idea to remind the leadership of the Republican Party of some facts that they seem to be ignoring.

1. The Federal Government is bankrupt and you just "compromised" an agreement with 
the democrats to increase deficit spending and federal debt in the 2011 budget. 

2. Speaker Boehner is "Speaker of the House" and not "minority leader" because angry 
voters decided to throw out the "tax and spend" democrats and replace them with 
republican candidates in the 2010 mid-term elections. These candidates promised to cut deficit spending and fight the growth of big government.

3. When the democrats had a veto-proof majority in both houses of congress, did they 
work for "compromise"? No, they crammed Obamacare down our throats and made 
incredible comments like,"you'll have to pass the bill to know what's in it."  Now when they've lost the house they are crying  for "compromise".  If Republicans fall for that crap you won't have to worry about losing your seat in the 2012 elections, because the folks who gave you a majority in the House last year will be looking to replace you in the primaries next year. You'll never make it to the general election. 

We recognize the both parties bear responsibility for the unsustainable size of the Federal Government and we're hoping this congress will be the one to stand up and say "no more". Refusing to raise the debt ceiling will not result in causing grandma to eat cat food, as the democrats claim. What it will do is to put a leash on the government bureaucrats and force them to reduce the size and scope of government because the public's credit line is maxed out and we don't want to raise the credit limit.

We are not going to "spend" our way out of this economic situation. We're headed for an 
inflationary "train wreck" and we the people are just hoping the folks we elected last year 
will find the courage to grab ahold of the brake and pull it back hard. The prices of food 
and energy are high and getting higher, in large part because of the unrestrained printing 
of new money in a way that has created currency crises in other countries in the past and poses a real threat to repeat it right here in the U.S. in the not-too-distant future.

We are asking you all to exercise some common sense and not fall for the lies and scare 
tactics about not raising the debt limit and do something for the good of the country for a 
change and vote instead "NOT TO RAISE THE DEBT LIMIT". There's a whole lot of 
government that could be cut and we love to see you all do your jobs and cut some of it. 

And while you're at it, you might re-read the constitution and work to reassert your authority over government spending and authorizing foreign military action by means of the Declaration of War.  

We also feel that serving in Congress is a duty and a privilege, but not meant to be a lifelong
career. Some respectable term limits would contribute to improved government because 
then we might have more statesmen, serving and then going home, rather than the 
lifelong political parasites we have now, who vote their own interests in order to get re-
elected, rather than voting for the good of the country as a whole. 

You got us in this mess, so we're asking you to do the right thing right now to start getting 
us out, or we'll get you out and put in somebody who listens to their constituents and 
works for the good of the country. We're not asking for compromise, we want backbone 
and lots of it. Stop the spending, now. We're broke.

Sunday, January 30, 2011

Wednesday, January 12, 2011

Could the Fed go Broke?

Could the Fed Go Broke?  The Federal Reserve is currently holding toxic paper purchased to bail out Fannie Mae and Freddie Mac, long-term government bonds, securitized mortgages, etc. Would a 1% increase in the interest rate cause the Fed to become technically bankrupt? A good CNBC interview with former FED member.

Wednesday, January 5, 2011

Molecular data, as found in the file
<<<
{
  "formula": "C3H7NO3",
  "method": "ωB97M-V/def2-TZVPD",
  "species": ["O", "O", "O", "N", "C", "C", "C", "H", "H", "H", "H", "H", "H", "H"],
  "xyz": [[-1.35949, -2.52879, -0.12402], [-0.42112, 0.99649, -3.89254], [0.30400, 1.61069, 0.14078], [-0.26668, -0.54907, 0.01853], [-0.70330, -1.75883, 0.52495], [0.68046, 0.31732, 2.12927], [0.20697, 0.55970, 0.73357], [0.88506, 1.28486, 2.53632], [0.21094, 1.41333, -4.48811], [-0.03968, -0.18928, 2.76592], [-0.49350, -0.44423, -0.96370], [-0.25801, 1.46619, -3.06194], [-0.37205, -1.96536, 1.55260], [1.62640, -0.21302, 2.12837]],
  "energy_ev": -10857.5011,
  "homo_lumo_gap_ev": 11.16,
  "smiles": "CC(=O)NC=O.O",
  "homo_ev": -10.51
}
>>>

Total Eclipse of the Economy-The Collapse of Socialism

Martin (Hurricane) Armstrong languishes is Federal Prison where he publishes his hand-typed Armstrong Economics reports. His latest, "The Total Eclipse of the Economy"  is a must read. Armstrong pulls no punches as he targets the New York banks, the SEC and the government for the current economic crisis. He describes the event we are enduring as the "Collapse of Socialism".

Monday, January 3, 2011

Kickin' the Can Down the Road

The incoming Congress has an unprecedented opportunity to reassert it's constutional authority to control government spending and fulfill campaign promises to reduce the size and scope of the federal beaurocracy. As the date to extend the federal debt ceiling approaches,  people will start getting nervous when faced with the possibility of a debt default. This debt default is, in my opinion, 99.9% inevitable.  The question is not really IF, but rather WHEN? We're borrowing $4 billion a day to pay the interest on our current debt and faced with the choice of defaulting on our debt or kicking the debt can down the road by continuing to borrow more and more, you know it's the taxpayer's can that is going to get kicked time and time again.

My suggestion to the newly arriving members of the House would be to raise the debt limit only enough to give our drowning government a gasp of air while demanding concessions of significant reductions in the federal spending and beaurocracy. In the first two years of the Obama administration I don't recall a budget ever being passed and that is a prime responsibility of the House of Representatives. The federal government has played fast and loose with the constitution for far too long and this country cannot keep kicking the can down the road forever. There are no easy choices and no pleasant results for the situation this government has put the people in and I think it only fair that the government pay the price for trampling on the liberties and freedoms of its citizens. We have hundreds of military bases around the world and spend over $1 trillion a year imposing our influence in places where we have no constitutional right to be. Our government continues to try to tell us how to live and now apparently want to tell us how and when to die. I would prefer to reserve those rights for the individual as well as countless other liberties that are being threatened.

If this country is going to be saved from economic ruin, it will not be saved by the federal government, but by the people who granted the government the right to exist in the first place. If we must kick that can down the road in the future, let's not kick it so hard or so far, and pray that our Congress will reassert it's constitutional authority to control government spending by demanding concessions for every debt limit increase granted to the executive branch. Socialism doesn't work and the time has come to revive the American spirit of free markets and liberty for American citizens and get the government off our backs in limited to it's constitutionally-defined purpose.

Please refer to the constitution on my website for the duties and obligations of congress.